To do =
Write out only the lines further below with the word "results" in them.

Material =
____________
DFT (PBE with a Hubbard U) results for Ta2VF after structural relaxation.

Energy above the lowest structure with this stoichiometry, eV/atom: 0.282

abc: 4.7809 4.7809 13.4189
angles: 90.00 90.00 90.00
Closest atoms and distances in Å follow each position.
Space group I-42d (No. 122)
Unique sites:
Ta  0.1383  0.2500  0.1250 x8  2 F 2.16
V  0.0000  0.0000  0.5000 x4  4 Ta 2.69
F  0.0000  0.0000  0.0000 x4  4 Ta 2.16
____________

Done =
DFT (PBE with a Hubbard U) results for Ta2VF after structural relaxation.